Record 1
67
Properties=species:S:1:pos:R:3:forces:R:3 method="wB97M-V/def2-TZVPD" homo_lumo_gap_ev=6.973 relative_energy_kj_mol=45.18 e_homo_ev=-17.0 total_charge=+3 spin_multiplicity=1
Zr -0.842 0.903 -0.312 1.25 1.74 -0.24
C -0.871 1.283 4.139 -0.03 -0.06 0.07
C -0.670 1.542 2.786 -0.01 0.00 0.02
N -1.166 0.760 1.823 -0.36 -0.16 1.11
C -1.909 -0.332 2.175 -0.17 -0.08 0.35
C -2.140 -0.669 3.517 0.12 0.06 -0.31
C -1.598 0.176 4.507 0.02 0.05 -0.05
C -2.893 -1.844 3.831 -0.08 -0.10 0.01
C -3.385 -2.633 2.850 -0.03 -0.06 0.19
C -3.186 -2.305 1.473 0.07 0.28 -0.17
C -3.709 -3.082 0.423 0.02 0.06 -0.03
C -3.517 -2.683 -0.879 -0.06 -0.08 -0.01
C -2.796 -1.521 -1.132 -0.01 0.08 0.02
N -2.269 -0.768 -0.168 -0.74 -0.76 0.24
C -2.464 -1.148 1.130 -0.10 -0.24 0.21
H -0.456 1.953 4.879 0.02 0.01 -0.02
H -0.095 2.400 2.462 -0.01 0.03 -0.01
H -1.764 -0.052 5.553 0.00 0.00 0.00
H -3.063 -2.085 4.873 0.00 -0.02 -0.01
H -3.955 -3.521 3.093 0.01 0.01 -0.01
H -4.264 -3.985 0.647 -0.01 0.01 0.01
H -3.918 -3.254 -1.706 0.00 0.02 0.00
H -2.648 -1.188 -2.152 0.04 -0.03 -0.02
N -0.687 1.044 -2.593 0.35 -0.08 -0.76
C 0.569 0.644 -3.258 0.31 -0.03 -0.13
C 0.565 0.359 -4.612 -0.17 0.00 0.03
C 1.761 0.091 -5.265 0.02 -0.03 0.00
C 2.960 0.126 -4.569 0.01 0.02 -0.02
C 2.962 0.379 -3.205 0.00 -0.07 0.08
C 1.766 0.617 -2.533 -0.27 0.26 0.16
P 1.717 0.879 -0.734 0.61 -1.12 -0.72
C 3.373 1.176 -0.121 -0.41 0.51 0.21
C 3.716 2.520 0.065 -0.01 -0.11 -0.03
C 5.006 2.843 0.450 0.00 0.00 0.00
C 5.932 1.829 0.661 0.00 0.05 0.00
C 5.580 0.495 0.488 0.04 -0.09 0.01
C 4.297 0.153 0.096 -0.10 -0.01 -0.05
C 1.131 -0.762 -0.112 0.12 0.24 -0.05
C 1.249 -0.991 1.273 0.16 -0.15 0.04
C 0.839 -2.193 1.820 0.01 0.05 0.06
C 0.262 -3.168 1.007 -0.02 0.00 -0.10
C 0.097 -2.937 -0.350 0.02 -0.11 0.01
C 0.517 -1.737 -0.915 0.41 -0.14 -0.05
H -1.451 0.731 -3.189 -0.14 -0.04 0.02
H -0.716 2.067 -2.659 -0.11 0.08 -0.03
H -0.364 0.365 -5.172 0.02 0.03 0.00
H 1.750 -0.126 -6.324 0.01 0.03 0.00
H 3.894 -0.037 -5.088 -0.01 -0.05 0.02
H 3.893 0.386 -2.655 0.02 0.02 -0.03
H 2.980 3.298 -0.106 0.06 0.05 0.02
H 5.286 3.878 0.588 0.01 -0.01 0.00
H 6.939 2.081 0.966 0.00 -0.01 0.00
H 6.312 -0.283 0.656 0.00 0.00 0.00
H 4.019 -0.884 -0.047 0.04 -0.01 0.01
H 1.752 -0.258 1.895 -0.05 0.01 0.03
H 0.996 -2.393 2.872 0.01 0.02 -0.01
H -0.027 -4.122 1.430 0.00 0.01 0.01
H -0.308 -3.716 -0.983 -0.02 0.02 -0.02
H 0.492 -1.622 -1.994 -0.07 0.08 0.01
C -4.048 1.932 -0.283 -0.37 -0.13 -0.04
O -2.609 2.136 -0.406 -0.43 0.53 0.06
C -2.133 3.489 -0.124 -0.71 0.59 0.11
S -3.103 4.715 0.186 0.33 -0.49 -0.11
S -0.406 3.406 -0.195 0.09 -0.74 -0.05
H -4.242 0.886 -0.501 0.11 0.01 -0.02
H -4.567 2.569 -0.993 0.09 0.03 -0.06
H -4.372 2.185 0.722 0.11 0.00 0.04

=====

Record 2
78
Properties=species:S:1:pos:R:3:forces:R:3 method="wB97M-V/def2-TZVPD" homo_lumo_gap_ev=5.251 e_homo_ev=-10.7 total_charge=+1 spin_multiplicity=1
Tc 0.149 0.465 -0.458 1.34 0.36 -0.47
O 4.389 2.507 0.430 0.20 0.00 0.05
C 4.301 2.263 1.757 -0.06 -0.06 -0.05
C 5.362 2.746 2.515 0.17 0.11 0.11
C 5.379 2.580 3.882 0.10 0.07 0.06
C 4.335 1.917 4.532 0.09 0.03 0.09
C 3.285 1.441 3.791 -0.13 -0.14 -0.09
C 3.237 1.605 2.392 0.00 0.01 0.01
C 2.026 1.133 1.711 0.49 0.29 -0.53
O 1.913 1.238 0.378 0.08 -0.04 0.47
N 1.054 0.687 2.405 -0.76 -0.33 -0.21
N -0.031 0.350 1.593 0.18 0.06 0.04
C -1.064 0.007 2.285 -0.18 -0.05 0.33
C -2.340 -0.398 1.800 0.22 0.09 0.87
C -3.360 -0.747 2.700 0.13 0.04 0.35
C -4.573 -1.170 2.232 -0.27 -0.11 -0.11
C -4.791 -1.252 0.846 -0.08 -0.02 0.04
C -3.802 -0.907 -0.045 -0.37 -0.13 -0.41
C -2.582 -0.474 0.451 1.15 0.32 -1.25
O -1.599 -0.124 -0.401 -1.61 -0.34 0.38
H 3.814 1.922 -0.066 -0.33 -0.06 -0.15
H 6.167 3.252 1.992 -0.11 -0.06 0.07
H 6.216 2.965 4.456 -0.08 -0.04 -0.06
H 4.351 1.783 5.607 0.01 0.01 -0.11
H 2.464 0.919 4.270 0.12 0.11 -0.05
H -0.906 0.031 3.356 -0.05 0.00 0.08
H -3.175 -0.671 3.769 0.00 -0.03 -0.16
H -5.359 -1.445 2.924 0.05 0.04 -0.08
H -5.752 -1.585 0.474 0.04 0.01 0.02

Type out the lines earlier on up to the one that holds "0.474 0.04", that line included.

Record 1
67
Properties=species:S:1:pos:R:3:forces:R:3 method="wB97M-V/def2-TZVPD" homo_lumo_gap_ev=6.973 relative_energy_kj_mol=45.18 e_homo_ev=-17.0 total_charge=+3 spin_multiplicity=1
Zr -0.842 0.903 -0.312 1.25 1.74 -0.24
C -0.871 1.283 4.139 -0.03 -0.06 0.07
C -0.670 1.542 2.786 -0.01 0.00 0.02
N -1.166 0.760 1.823 -0.36 -0.16 1.11
C -1.909 -0.332 2.175 -0.17 -0.08 0.35
C -2.140 -0.669 3.517 0.12 0.06 -0.31
C -1.598 0.176 4.507 0.02 0.05 -0.05
C -2.893 -1.844 3.831 -0.08 -0.10 0.01
C -3.385 -2.633 2.850 -0.03 -0.06 0.19
C -3.186 -2.305 1.473 0.07 0.28 -0.17
C -3.709 -3.082 0.423 0.02 0.06 -0.03
C -3.517 -2.683 -0.879 -0.06 -0.08 -0.01
C -2.796 -1.521 -1.132 -0.01 0.08 0.02
N -2.269 -0.768 -0.168 -0.74 -0.76 0.24
C -2.464 -1.148 1.130 -0.10 -0.24 0.21
H -0.456 1.953 4.879 0.02 0.01 -0.02
H -0.095 2.400 2.462 -0.01 0.03 -0.01
H -1.764 -0.052 5.553 0.00 0.00 0.00
H -3.063 -2.085 4.873 0.00 -0.02 -0.01
H -3.955 -3.521 3.093 0.01 0.01 -0.01
H -4.264 -3.985 0.647 -0.01 0.01 0.01
H -3.918 -3.254 -1.706 0.00 0.02 0.00
H -2.648 -1.188 -2.152 0.04 -0.03 -0.02
N -0.687 1.044 -2.593 0.35 -0.08 -0.76
C 0.569 0.644 -3.258 0.31 -0.03 -0.13
C 0.565 0.359 -4.612 -0.17 0.00 0.03
C 1.761 0.091 -5.265 0.02 -0.03 0.00
C 2.960 0.126 -4.569 0.01 0.02 -0.02
C 2.962 0.379 -3.205 0.00 -0.07 0.08
C 1.766 0.617 -2.533 -0.27 0.26 0.16
P 1.717 0.879 -0.734 0.61 -1.12 -0.72
C 3.373 1.176 -0.121 -0.41 0.51 0.21
C 3.716 2.520 0.065 -0.01 -0.11 -0.03
C 5.006 2.843 0.450 0.00 0.00 0.00
C 5.932 1.829 0.661 0.00 0.05 0.00
C 5.580 0.495 0.488 0.04 -0.09 0.01
C 4.297 0.153 0.096 -0.10 -0.01 -0.05
C 1.131 -0.762 -0.112 0.12 0.24 -0.05
C 1.249 -0.991 1.273 0.16 -0.15 0.04
C 0.839 -2.193 1.820 0.01 0.05 0.06
C 0.262 -3.168 1.007 -0.02 0.00 -0.10
C 0.097 -2.937 -0.350 0.02 -0.11 0.01
C 0.517 -1.737 -0.915 0.41 -0.14 -0.05
H -1.451 0.731 -3.189 -0.14 -0.04 0.02
H -0.716 2.067 -2.659 -0.11 0.08 -0.03
H -0.364 0.365 -5.172 0.02 0.03 0.00
H 1.750 -0.126 -6.324 0.01 0.03 0.00
H 3.894 -0.037 -5.088 -0.01 -0.05 0.02
H 3.893 0.386 -2.655 0.02 0.02 -0.03
H 2.980 3.298 -0.106 0.06 0.05 0.02
H 5.286 3.878 0.588 0.01 -0.01 0.00
H 6.939 2.081 0.966 0.00 -0.01 0.00
H 6.312 -0.283 0.656 0.00 0.00 0.00
H 4.019 -0.884 -0.047 0.04 -0.01 0.01
H 1.752 -0.258 1.895 -0.05 0.01 0.03
H 0.996 -2.393 2.872 0.01 0.02 -0.01
H -0.027 -4.122 1.430 0.00 0.01 0.01
H -0.308 -3.716 -0.983 -0.02 0.02 -0.02
H 0.492 -1.622 -1.994 -0.07 0.08 0.01
C -4.048 1.932 -0.283 -0.37 -0.13 -0.04
O -2.609 2.136 -0.406 -0.43 0.53 0.06
C -2.133 3.489 -0.124 -0.71 0.59 0.11
S -3.103 4.715 0.186 0.33 -0.49 -0.11
S -0.406 3.406 -0.195 0.09 -0.74 -0.05
H -4.242 0.886 -0.501 0.11 0.01 -0.02
H -4.567 2.569 -0.993 0.09 0.03 -0.06
H -4.372 2.185 0.722 0.11 0.00 0.04

=====

Record 2
78
Properties=species:S:1:pos:R:3:forces:R:3 method="wB97M-V/def2-TZVPD" homo_lumo_gap_ev=5.251 e_homo_ev=-10.7 total_charge=+1 spin_multiplicity=1
Tc 0.149 0.465 -0.458 1.34 0.36 -0.47
O 4.389 2.507 0.430 0.20 0.00 0.05
C 4.301 2.263 1.757 -0.06 -0.06 -0.05
C 5.362 2.746 2.515 0.17 0.11 0.11
C 5.379 2.580 3.882 0.10 0.07 0.06
C 4.335 1.917 4.532 0.09 0.03 0.09
C 3.285 1.441 3.791 -0.13 -0.14 -0.09
C 3.237 1.605 2.392 0.00 0.01 0.01
C 2.026 1.133 1.711 0.49 0.29 -0.53
O 1.913 1.238 0.378 0.08 -0.04 0.47
N 1.054 0.687 2.405 -0.76 -0.33 -0.21
N -0.031 0.350 1.593 0.18 0.06 0.04
C -1.064 0.007 2.285 -0.18 -0.05 0.33
C -2.340 -0.398 1.800 0.22 0.09 0.87
C -3.360 -0.747 2.700 0.13 0.04 0.35
C -4.573 -1.170 2.232 -0.27 -0.11 -0.11
C -4.791 -1.252 0.846 -0.08 -0.02 0.04
C -3.802 -0.907 -0.045 -0.37 -0.13 -0.41
C -2.582 -0.474 0.451 1.15 0.32 -1.25
O -1.599 -0.124 -0.401 -1.61 -0.34 0.38
H 3.814 1.922 -0.066 -0.33 -0.06 -0.15
H 6.167 3.252 1.992 -0.11 -0.06 0.07
H 6.216 2.965 4.456 -0.08 -0.04 -0.06
H 4.351 1.783 5.607 0.01 0.01 -0.11
H 2.464 0.919 4.270 0.12 0.11 -0.05
H -0.906 0.031 3.356 -0.05 0.00 0.08
H -3.175 -0.671 3.769 0.00 -0.03 -0.16
H -5.359 -1.445 2.924 0.05 0.04 -0.08
H -5.752 -1.585 0.474 0.04 0.01 0.02